Last updated on February 5th, 2024 at 01:18 pm

A mom shares her adventure of taking 3-year-old twins to Disney World alone, including great tips on how to manage it all by yourself.
“You’re crazy” is the first thing out of everyone’s mouth when I told them I was taking my 3-year-old twins to Disney World alone. Even my husband thought I was certifiably insane.
Well, spoiler alert, I took my twin toddlers to Disney World all by myself and — although some of you may still think I’m crazy for that — it was the most magical day ever.

As soon as I decided the three of us were going to make the trip I started planning. Being someone who meticulously plans everything I knew that our Disney World trip would have also have to be mapped out to best utilize our time.
I used my Disney account on their website (completely free to set up) and bought our tickets. After purchasing tickets I downloaded the Walt Disney World app on my iPhone (also completely free) where I booked all our fast passes.
Next, I pulled up a detailed map of the Magic Kingdom and made an entire list of all the rides and experiences I could potentially see the twins and I doing during our day.

If you are curious to see the list I made, here it is:
- Buzz Lightyear Space Ranger
- Dumbo
- Haunted Mansion
- It’s a Small World
- Princess Fairy Town Hall
- Mickey Mouse at the Town Square
- Jungle Cruise
- Magic Carpets
- Winnie the Pooh
- Philar Magic
- Peter Pan’s flight
- Pirates of the Caribbean
- Prince Charming’s carousel
- Tomorrowland Speedway
- People Mover
- Ariel’s Grotto
- Journey of the Little Mermaid
My twins are 3 so this list was tailored to their age group, but I think making a ride/experience list is one of the most helpful preplanning tools you can use, no matter what age your twins are. As you can see it’s a very extensive list, and I knew we would never get to each thing on the list, but having it all written out in front of me helped me to plan our day.

For our fast passes, rather than book rides I chose to book experiences meeting characters. I thought that at the end of the day if I could guarantee three things to absolutely happen for the twins it would be to meet Cinderella (Princess Fairy Town Hall), meet Mickey Mouse (Mickey Mouse at Town Square), and meet Ariel (Ariel’s Grotto). Since I had fast passes booked in advance for these attractions I was able to tell the twins that we were going to meet all of them, which made them even more excited for the trip. Now that all my planning on the back end was done it was time to prepare to take them to Disney World all by myself.
Armed with our amazing travel double stroller, (the Chicco Echo Twin Stroller) a backpack full of snacks and sunscreen, and a whole lot of excitement, we were ready to head down Main Street.
My biggest piece of advice for anyone taking their twins to Disney World alone would be to talk with your children about the day you have planned. I must have talked every single day for at least a month beforehand to the twins to prepare them for what they would see, hear, and experience. I told them it was likely going to be very loud, and very busy and because it was just Mama with them that it was very important to stay close and be a good listener. It may sound silly but I used to be a teacher before I had my twins, and it is amazing what we can help our children excel at when we simply talk to them and set the expectations for things.
So now the logistics: how did I do it? When walking around the park they both sat in their stroller. Since they are 3 years old and they really aren’t big stroller fans anymore I honored their wishes to not be strapped in. Having them both in the stroller was an easy and quick way to maneuver around the park, and also let them take in all the sites to see.

=====
Record 1
98
Properties=species:S:1:pos:R:3:forces:R:3:lowdin_charge:R:1 method="wB97M-V/def2-TZVPD" de_lowest_kcal_mol=2.18 total_energy_ha=-3504.52884 charge=-2 max_force_ev_per_a=0.25 spin_multiplicity=1
Rb -0.45642 -0.01968 -0.81310 0.1 -0.1 -0.1 0.507
C 0.16954 -1.70668 2.83031 0.0 0.0 0.0 -0.119
N 0.02960 -0.31708 2.39830 0.0 -0.1 0.0 -0.161
C 1.18474 0.49748 2.73403 -0.1 0.1 0.1 -0.138
C 2.44981 0.13387 2.00219 0.1 0.0 0.0 -0.299
C 3.68522 0.20335 2.63226 0.0 0.0 0.0 -0.042
C 4.82711 -0.06195 1.89142 0.0 0.0 0.0 -0.069
C 4.69626 -0.40585 0.55711 0.0 0.0 0.0 -0.041
C 3.41719 -0.46751 0.01947 0.0 0.0 0.0 -0.112
N 2.32206 -0.19412 0.72167 -0.1 0.1 -0.2 0.110
C -1.17407 0.30548 2.92744 0.0 0.0 0.0 -0.143
C -2.45183 -0.37388 2.50513 0.0 0.0 0.1 -0.278
C -3.51576 -0.47126 3.39407 0.0 0.0 0.0 -0.028
C -4.70101 -1.04482 2.95997 0.0 0.0 0.0 -0.073
C -4.78425 -1.49291 1.65409 0.0 0.0 0.0 -0.064
C -3.67094 -1.34680 0.83640 0.0 0.0 0.1 -0.133
N -2.52472 -0.81910 1.25285 -0.1 0.0 0.0 0.109
C 0.99166 -2.54009 1.86821 0.0 0.0 0.0 -0.282
C 2.24702 -3.02660 2.20667 0.0 0.0 0.0 -0.045
C 3.01076 -3.64694 1.22717 0.0 0.0 0.0 -0.072
C 2.49120 -3.77136 -0.04986 0.0 0.0 0.0 -0.051
C 1.19587 -3.31943 -0.27310 0.0 0.0 0.0 -0.148
N 0.45415 -2.73509 0.66272 0.0 0.1 0.0 0.112
H -0.82692 -2.14691 2.87518 0.0 0.0 0.0 0.119
H 0.60954 -1.76006 3.84300 0.0 0.0 0.0 0.123
H 1.38146 0.48108 3.82346 0.0 0.0 0.0 0.124
H 0.95654 1.53760 2.47386 0.0 0.0 0.0 0.126
H 3.74433 0.47871 3.67836 0.0 0.0 0.0 0.106
H 5.80588 0.00439 2.35191 0.0 0.0 0.0 0.099
H 5.55171 -0.61013 -0.07252 0.0 0.0 0.0 0.106
H 3.26546 -0.73428 -1.01690 0.0 0.0 -0.1 0.084
H -1.21423 1.33339 2.55121 0.0 0.0 0.0 0.119
H -1.15361 0.36370 4.03252 0.0 0.0 0.0 0.125
H -3.41147 -0.09735 4.40508 0.0 0.0 0.0 0.104
H -5.54668 -1.13360 3.63202 0.0 0.0 0.0 0.098
H -5.69330 -1.92071 1.25444 0.0 0.0 0.0 0.099
H -3.69929 -1.65253 -0.20295 0.0 0.0 0.0 0.090
H 2.64142 -2.86060 3.20186 0.0 0.0 0.0 0.106
H 4.01389 -3.99072 1.44961 0.0 0.0 0.0 0.103
H 3.07365 -4.17167 -0.86924 0.0 0.0 0.0 0.105
H 0.75714 -3.39891 -1.26111 0.0 0.0 0.0 0.062
S 1.85434 1.33018 -3.02971 0.0 -0.1 0.0 0.436
C 2.32973 -0.29470 -3.30252 -0.1 0.1 0.1 -1.293
S 1.20098 -1.57626 -3.41431 0.0 0.0 -0.1 0.460
C 3.72386 -0.59812 -3.36848 0.1 -0.1 0.1 -0.453
C 4.69611 0.39784 -3.15374 0.0 0.0 -0.1 -0.269
N 5.53310 1.17839 -2.96505 0.0 0.0 0.0 0.126
C 4.22649 -1.92287 -3.46732 0.0 0.0 -0.1 -0.316
N 4.69788 -2.97722 -3.54826 0.0 0.0 0.1 0.095
N -3.00956 0.93862 -2.58171 0.0 0.1 0.1 0.083
C -4.24398 0.58633 -2.12006 0.0 0.0 0.0 -0.282
C -5.00558 -0.35470 -2.83500 0.0 0.0 0.0 -0.061
C -6.24388 -0.78016 -2.39431 0.0 0.0 0.0 -0.131
C -6.75987 -0.27541 -1.20830 0.0 0.0 0.0 -0.142
C -6.01548 0.66067 -0.50169 0.0 0.0 0.0 -0.088
C -4.77244 1.13961 -0.91707 0.0 0.0 0.0 -0.131
C -4.04315 2.16618 -0.10035 0.0 0.0 -0.1 -0.219
C -4.79249 2.95884 0.78564 0.0 0.0 0.0 -0.085
C -4.17306 3.85705 1.63887 0.0 0.0 0.0 -0.139
C -2.78992 3.99001 1.59181 0.0 0.0 0.0 -0.144
=====

We arrived at the park so early in the morning, that as we were walking down Main Street the sun was rising with us. I planned ahead and chose a day to do Magic Kingdom that had extra magic hours. Magic Hours are a special time each day either before the park opens or after the park closes where Disney Resort guests are allowed to be in the parks with only other Resort guests; aka small crowds.
Sure this meant that I woke the twins up at 6 am, but it turns out waking up 3-year-olds early by telling them you’re going to Disney World is actually so much fun. We were out the door of our resort and onto the bus.
Make sure you bring a double stroller that folds easily because you have to fold it to get on the bus; I would have the twins walk in front of me to enter the bus and I would enter behind them carrying the stroller. But in all honestly there were so many kind people who offered to grab my stroller and load it onto the bus while I got the twins on that it wasn’t a problem.
We made it into the Magic Kingdom by 7 am. Since the parks weren’t opening until 8 am we had everything basically to ourselves for that hour. Security and park admission was a breeze to get through because there were not that many people there.
We enjoyed a stroll down Main Street and an up-close view of the castle where I was able to get stunning pictures of the twins with absolutely no people in the background (this never happens). We were also able to do 4 rides in that hour before the park opened because it was so empty. So if you can get out the door early, your Magical Day will start off with a bang!

Whenever we arrived at our ride or character experience we parked the stroller, and they knew it was time to hop out. The three of us would walk to the ride entrance holding hands. Prior to arriving, the lines and wait times are the things I thought would pose the biggest issue on our trip. I kept thinking to myself, “How on Earth am I going to keep two three-year-olds contained in lines all day by myself?
Luckily for us, the time of year we visited the park was fairly empty so lines were almost nonexistent. In the cases where we did wait in a small line I would just bend down to be on their level and talk to them about how the day was going (what have they enjoyed, what do they think this ride will be like, what else are you looking forward to doing today). We also did some singing, and counting while we were waiting. I am all for a fun educational activity that requires no materials to fill in a time gap. In all honesty, the thing I was most worried about turned out to be one of the easiest things to deal with.
Also, it’s worth noting the Tomorrowland Speedway (where the adult uses the pedals but the child drives) was amazing to work with as an alone adult with two children. They put a special flag on my car so that our first time riding my son got to drive. When the ride was over instead of exiting and waiting in line again, they let the kids switch positions and my daughter was then able to drive. It was a great way for each twin to experience driving without waiting in line two times!
After rides, we exited the same way, and the twins knew they had to hold my hand until we found our stroller, where they hopped in and we pushed our way to the next stop.

In between rides and experiences, we reapplied sunscreen, we stopped for bathroom breaks where I would have everyone try to go even if “they didn’t have to pee”. I packed a lot of snacks for the kids, and I would just find a bench I could pull the stroller to so that I could sit in front of them while we all ate.
I tried to keep our plans (and fast passes) in the same area in certain time blocks. For example, when we went to Adventureland, we did all the rides in that area before we left. This helps so that you aren’t constantly running from one side of the park to the other.
My last piece of advice would be to just read your twins. Take a good look at them; are they getting tired, are they hungry, are they overwhelmed, are they good to keep it going, are they just plain DONE? You can have the most perfect day ever planned, but we all know from raising twins that they really dictate how the day will go.
After we ate lunch (I highly recommend eating somewhere inside with AC, and before noon when the lunch rush comes in) and rode a few more rides I could tell that my twins were done. They were hot, they were sweaty, and they were getting tired. So I asked them what they wanted to do, “Should we ride more rides, or should we head out?” They both unanimously agreed they were ready to go, so I followed their lead and we called it a day.
All in all, it was truly the most Magical Day ever. I got to watch the joy on their faces as they met Mickey Mouse and dance around with Cinderella. I got to hold their hands as we flew up and down and around in circles on Dumbo. I got to laugh as I watched them wave and yell ”Hiiiii people” while we rode the Carousel. I got to watch their eyes light up and take in all the sites and sounds on It’s a Small World. I got to squeeze them tight at the end of the day and thank them for giving Mama the best day ever.
The moral of the story is no matter how crazy it sounds pack those twins up and head out for a Magical Day, because I’ll tell you right now us Twin Mamas can do anything!

Nicole Haviland is a former second grade teacher who now spends her days playing Mrs Mama to her 3 year old twins Vivi & Kip. She is always off on an adventure with them, creating new art projects with them, and helping them explore the world through discovery and play. But most importantly she is having fun on this amazing journey of Motherhood with twins!